A Complete Guide to Conduct Focus Group Interviews

When it comes to gathering qualitative data on a reasonably broad and explorative topic which aims to assert the viewpoints from multiple parties, a popular method is known as focus group interview or focus group discussion. Focus group as a data gathering technique has been widely adopted due to its strength to attain information from a diverse group of audience. Focus group interviews have distinct advantage over the other data collection tools due to being flexible, and the opportunity to communicate with more than one participant at the same time. Designing the focus group however, is far from easy and requires specific skills. If not properly designed, focus group interview will not be able to accomplish the objectives for which it is designed. The researcher who usually plays the role of a moderator needs to have a solid understanding of a range of different factors. This article touches on the various factors that need careful consideration before planning a focus group interview –


Focus groups usually last for about 1 to 2 hours. The moderator can provide a short break in between depending on the situation. It is a good practice not to stretch the discussion for too long if the participants do not feel comfortable sitting after a certain time. Also, if the moderator observes that the discussion is reaching to a point where there is very limited consensus or even an awkward argument, it is better to reduce the length of such discussion.

Number of questions to be asked

There is no explicit guideline on this one. The number of the questions may vary depending on the time commitment of the participants, nature of the study and myriad of the other factors. A rule of thumb in this case is to have anything between 1 to 5 questions.

Types of questions

Open-ended questions are always recommended for most types of qualitative data gathering method. The benefit is that the participants can unpack more information if they are allowed to express their views more openly. But the open-ended questions should still be clear, simple, and direct which will help to avoid confusing terminology or long questions.

Sample characteristics

Sampling the participants for focus group is one of the most challenging aspects. Selecting the right cohort is a critical element in the success of focus group. So care must be given while recruiting the participants and ensuring the right composition of the group. A general recommendation is that the members of the focus group should have attributes which are homogenous. But there should also remain some degree of variation so that contrasting opinions can be derived. Common factors where homogeneity is sought are – occupation, educational level, age, gender, education, or family characteristics.

Size of the focus group

Typically, the size of the focus group is from 6 to 12 participants. The group should not be so large that each participant does not have a chance to contribute. Nor should the group be so small that it limits the range of experiences and opinions to be shared. Again, the size of the focus group is largely determined by the research topic.

Recording the information

The researcher can adopt both automatic (tape recorder, video) and manual data recording techniques in focus group interviews. Depending on the research topic, availability of technical support, research budget this could be determined. It is however, important to have this clearly communicated to the participants so that they are aware of this information. Some participants may have reservation on their discussion being recorded. So there should be a pre-defined confidentiality statement.


The environment of the focus group interview can play a big role. The nature of the sitting arrangement, size of the table, proximity from each other, lighting condition – everything plays a part on how effective the focus group discussion will be. While it is hard to put specific parameters around each of these factors – but it is always the researcher who can assess these factors in optimise them to elicit the best possible result from the focus group discussion.

Types of Focus Groups

There are various types of focus groups . The type of focus group to chose depends entirely on the research topic and the skill set of the researcher.


This type of focus group involves using two groups where one group actively discusses a topic, whereas the other observes the first group. Usually, this type of focus group is conducted behind a one‐way glass.


Involves two moderators working together, each performing a different role within the same focus group. The division of roles ensures a smooth progression of the session and ensures that all topics are covered.

Duelling moderator

Involves two moderators who purposefully take opposing sides on an issue or topic under investigation. It is expected that the introduction of contrary views to the discussion by the moderators could be critical to achieving more in‐depth disclosure on the research topic.


This method involves selecting one or more of the participants in the focus group who takes the lead as moderator. This is done to change the dynamics of the group and generate more varied responses.

== Inserted here: records of crystals ==
/*
CdCu3: theoretical XRD peak list (a wavelength of 1.5418 Å), based on the PBE geometry in Alexandria.

Top 10 peaks for 2θ = 15–90°, by intensity:
| d/Å | 2θ (°) | I_rel |
| --- | --- | --- |
| 2.190 | 41.22 | 100 |
| 2.071 | 43.70 | 46 |
| 1.217 | 78.57 | 27 |
| 1.465 | 63.52 | 14 |
| 1.290 | 73.39 | 12 |
| 2.677 | 33.47 | 11 |
| 1.095 | 89.49 | 7 |
| 1.649 | 55.74 | 7 |
| 1.508 | 61.50 | 6 |
| 2.199 | 41.05 | 5 |

Structural model:
```
data_CdCu3
_chemical_formula_sum 'Cd1 Cu3'
_cell_length_a 2.9293
_cell_length_b 2.9293
_cell_length_c 6.5968
_cell_angle_alpha 90.00
_cell_angle_beta 90.00
_cell_angle_gamma 90.00
_symmetry_space_group_name_H-M 'P 4/m m m'
_symmetry_Int_Tables_number 123
_symmetry_space_group_name_Hall '-P 4 2'
loop_
_atom_site_label
_atom_site_fract_x
_atom_site_fract_y
_atom_site_fract_z
_atom_site_occupancy
Cd1 0.0000 0.0000 0.0000 1
Cu1 0.0000 0.0000 0.5000 1
Cu2 0.5000 0.5000 0.2873 1
```



Cd4Cu: theoretical XRD peak list (a wavelength of 1.5418 Å), based on the PBE geometry in Alexandria.

Top 10 peaks for 2θ = 15–90°, by intensity:
| d/Å | 2θ (°) | I_rel |
| --- | --- | --- |
| 2.623 | 34.18 | 100 |
| 2.059 | 43.97 | 64 |
| 2.273 | 39.65 | 39 |
| 1.547 | 59.77 | 27 |
| 2.575 | 34.84 | 26 |
| 3.219 | 27.72 | 20 |
| 1.857 | 49.07 | 18 |
| 1.326 | 71.09 | 18 |
| 1.380 | 67.94 | 17 |
| 2.680 | 33.44 | 14 |

Structural model:
```
data_Cd4Cu
_chemical_formula_sum 'Cd4 Cu1'
_cell_length_a 3.0942
_cell_length_b 3.0942
_cell_length_c 12.8743
_cell_angle_alpha 90.00
_cell_angle_beta 90.00
_cell_angle_gamma 120.00
_symmetry_space_group_name_H-M 'P -3 m 1'
_symmetry_Int_Tables_number 164
_symmetry_space_group_name_Hall '-P 3 2"'
loop_
_atom_site_label
_atom_site_fract_x
_atom_site_fract_y
_atom_site_fract_z
_atom_site_occupancy
Cd1 0.3333 0.6667 0.1039 1
Cd2 0.3333 0.6667 0.3356 1
Cu1 0.0000 0.0000 0.5000 1
```



Cd7Cu5: theoretical XRD peak list (a wavelength of 1.5418 Å), based on the PBE geometry in Alexandria.

Top 10 peaks for 2θ = 15–90°, by intensity:
| d/Å | 2θ (°) | I_rel |
| --- | --- | --- |
| 2.288 | 39.37 | 100 |
| 3.237 | 27.55 | 80 |
| 1.985 | 45.72 | 44 |
| 2.120 | 42.64 | 42 |
| 5.602 | 15.82 | 21 |
| 2.501 | 35.91 | 20 |
| 1.196 | 80.24 | 17 |
| 1.400 | 66.80 | 16 |
| 2.116 | 42.73 | 16 |
| 1.976 | 45.92 | 15 |

Structural model:
```
data_Cd7Cu5
_chemical_formula_sum 'Cd14 Cu10'
_cell_length_a 7.9384
_cell_length_b 7.9384
_cell_length_c 7.9055
_cell_angle_alpha 90.00
_cell_angle_beta 90.00
_cell_angle_gamma 90.00
_symmetry_space_group_name_H-M 'I 4 m m'
_symmetry_Int_Tables_number 107
_symmetry_space_group_name_Hall 'I 4 -2'
loop_
_atom_site_label
_atom_site_fract_x
_atom_site_fract_y
_atom_site_fract_z
_atom_site_occupancy
Cd1 0.0000 0.0000 0.0000 1
Cd2 0.0000 0.2515 0.4110 1
Cd3 0.0000 0.5000 0.1653 1
Cu1 0.0000 0.0000 0.6613 1
Cu2 0.2185 0.2185 0.7015 1
```



Cd3Cu4: theoretical XRD peak list (a wavelength of 1.5418 Å), based on the PBE geometry in Alexandria.

Top 10 peaks for 2θ = 15–90°, by intensity:
*/

Mini Focus Group

A focus group that consists of fewer participants – usually four or five. A mini focus group creates a more intimate group.

Online Focus Group

Participants respond and share information through online means. Online focus groups are done to reach a broader range of participants.

Advantages of a Focus Group

Disadvantages of a Focus Group


Krueger, R.A. (1994). Focus groups: A practical guide for applied research. Newbury Park, CA: Sage.

Nyumba, T., Wilson, K., Derrick, C. J., & Mukherjee, N. (2018). The use of focus group discussion methodology: Insights from two decades of application in conservation. Methods in Ecology and evolution, 9(1), 20-32.

Stewart, D. W., & Shamdasani, P.N. (1990). Focus groups: Theory & practice. Newbury Park, CA: Sage.